EP-12 Orientation #2

You can read 255 chapters for $20. p.atreon.com/casca02

"There are three coming at your 9 (o'clock) right about... now."






Elijah swung her sword with a heavy expression.



The dummy wolf, that was about to launch an ambush in the dark, was swept away by the blow.



"Two more from the ceiling. Their vital is the neck."



"…Excuse me, 'instructor'."



She called as she decapitated two bat-shaped dummies in an instant.



"Ah, watch your step, there's a tile trap. On your right is a paralyzing poison launcher, you can break that."



" 'Instructor,' I have a favor."



"What is it?"



"This is good and all, but can you please help me instead of just giving 'instructions'…?"









Elijah's face contorted even more, but she eventually chuckled and added.



"Were you not the one who tried to beat me up on the first meeting just the other day?"



"…That's true."



"And were you not the one who said you wanted to apologize? That you'll do anything I ask?"



"…I did."



"So what's the problem now?"



"…Yes, I'm sorry."



When I suggested that 'we get closer,' it was her who delightedly rushed here.



You have to keep your word.






And even if I want to help, I can't.



I am about as useful as a bug, with these puny stats.



It would be better if I just gave out orders and let her do all the fighting.






It's become clear while going around this artificial dungeon that Desperation will not be triggered unless there is 'malice' threatening my life.



That's why it doesn't work on these dummies that are simply repeating programmed actions.



So what does this point suggest?



Desperation is not omnipotent. Like most things, it's clearly flawed and imperfect.



The complacency that this skill will save me in every situation is something I should quickly throw away.



'I must raise my stats.'



Stats are like your athleticism that can be used in all situations. In the end, personal growth is indispensable.



Especially when you consider that the performance of items and skills is also affected by stats.



As I was thinking, Elijah grumbled next to me again.



"Still, the instructor has skills and could probably do better than me. With two of us working together, we can break through much faster-"



[ Amazing speed! ]

[ You broke the 2-year-old record! ]






Her complaining immediately stopped after hearing the reverberating announcement.



"No, why? How is this possible? What is happening right now?"



Seeing her ask in confusion, it seems that she's dumbfounded at the fact that she was breaking the record despite proceeding in this way.



"Is that so surprising?"



"It's not surprising, it's ridiculous!"



She poured her heart out.



"A mock battle is made with the assumption that two people would be doing it. But I'm just clearing it by myself, and it's the highest record… What the heII is this, hello? Are you using some kind of sorcery? Even regular knights couldn't proceed like this, right? Uh? What is it?"






I inwardly chuckled over her confused existential crisis.



'This is great.'



I accumulated enough experience to be considered a veteran in this game.



And I obtained a top-notch subordinate who will move without asking or questioning my words?



This dungeon is so easy that she can complete it with her eyes closed.






And if you're running a speedrun with 'only one person' like this, it's bound to attract some interest.



In fact, the reward for simply clearing this mock battle is good, but that is also quite important.



I had to take this opportunity.



Then, what is it in the end?



"The next section will be a little tougher than this one, let's keep it up. Fighting~!"



I cheered her up.



Because, until then, you have to do it all by yourself.






Elijah gritted her teeth.



You'll lose your teeth if you keep doing that.





Evan Kramer, a second year student in the Magic Research Department, was nervously sitting in front of the control panel.



"The mock battle stages are pretty good these days. Did the department set it up?"



"Yes, yes…!"



Evan barely managed to squeeze out an answer in stutters. The other person smiled as they watched the video being played.



"We can increase the budget next year."



To be able to say such a thing, it was clear that they were someone with authority.



The speaker was none other than the Dean of the Knight School.



Conrad Baltador.



The Dean, who directly reports to the President, was an individual who, at least within the academy, was said to possess unparalleled authority.



For a student, it would be difficult to even breathe just by being next to such a person.



'Why is someone like him at a booth…!'



As Evan shivered and pondered those thoughts, there was another voice.



"Oh, Conrad. What are you doing here?"



Unfortunately for Evan, the owner of this voice also did not help the atmosphere at all.



Seeing the person entering the booth with several pale-faced assistant professors from the Magic School, Evan almost suffered actual breathing problems.



"I can say the same to you, Percy. You rarely go out."



"It's been a while since I came out to see the freshmen. I like seeing the potential talents."






Conrad silently looked at the half-dead assistant professors from behind the woman called Percy.



"…A new tool, no, you're not looking for graduate students?"



# Here the page breaks off for data records
┌──
# 1
Structure and computed X-ray diffraction stick pattern of ZrCrAgS4 (the PBE geometry in the Materials Project; Cu Kα (weighted mean of Kα1 and Kα2)).
Intensities are scaled so that the largest is 100.

Structure:
Cell lengths 3.6186, 11.3738, 13.2140 Å; angles 90.00, 90.00, 90.00 degrees
Sites, in units of the cell vectors:
Zr  0.0000  0.1782  0.0000
Zr  0.0000  0.2024  0.5269
Zr  0.5000  0.7976  0.0269
Zr  0.5000  0.8218  0.5000
Cr  0.0000  0.6551  0.3163
Cr  0.0000  0.6866  0.8000
Cr  0.5000  0.3134  0.3000
Cr  0.5000  0.3449  0.8163
Ag  0.0000  0.9999  0.7481
Ag  0.0000  0.5038  0.5956
Ag  0.5000  0.0001  0.2481
Ag  0.5000  0.4962  0.0956
S  0.0000  0.1701  0.3339
S  0.0000  0.2984  0.7019
S  0.0000  0.3838  0.9312
S  0.0000  0.4499  0.2584
S  0.0000  0.6500  0.9774
S  0.0000  0.7662  0.6261
S  0.0000  0.8645  0.3666
S  0.0000  0.9547  0.0711
S  0.5000  0.0453  0.5711
S  0.5000  0.1355  0.8666
S  0.5000  0.2338  0.1261
S  0.5000  0.3500  0.4774
S  0.5000  0.5501  0.7584
S  0.5000  0.6162  0.4312
S  0.5000  0.7016  0.2019
S  0.5000  0.8299  0.8339

Largest 10 diffraction maxima, by intensity, 2θ = 5–70°:
- 27.12 deg, I 100
- 32.99 deg, I 94
- 29.22 deg, I 62
- 20.61 deg, I 54
- 40.94 deg, I 51
- 40.07 deg, I 49
- 34.93 deg, I 45
- 50.44 deg, I 43
- 44.10 deg, I 43
- 34.33 deg, I 39

=====

# 2
Structure and computed X-ray diffraction stick pattern of Nb2Te6I (the PBE geometry in the Materials Project; Cu Kα (weighted mean of Kα1 and Kα2)).
Intensities are scaled so that the largest is 100.

Structure:
Cell lengths 9.3831, 14.2855, 9.8238 Å; angles 90.00, 112.88, 90.00 degrees
Sites, in units of the cell vectors:
Nb  0.0242  0.0245  0.3692
Nb  0.0242  0.4755  0.8692
Nb  0.3246  0.5080  0.3703
Nb  0.3246  0.9920  0.8703
Nb  0.6754  0.0080  0.1297
Nb  0.6754  0.4920  0.6297
Nb  0.9758  0.5245  0.1308
Nb  0.9758  0.9755  0.6308
Te  0.0461  0.0632  0.9093
Te  0.0461  0.4368  0.4093
Te  0.1262  0.6836  0.2708
Te  0.1262  0.8164  0.7708
Te  0.1503  0.1347  0.6437
Te  0.1503  0.3653  0.1437
Te  0.2570  0.5966  0.0894
Te  0.2570  0.9034  0.5894
Te  0.4166  0.5834  0.6611
Te  0.4166  0.9166  0.1611
Te  0.4554  0.1586  0.0278
Te  0.4554  0.3414  0.5278
Te  0.5446  0.6586  0.4722
Te  0.5446  0.8414  0.9722
Te  0.5834  0.0834  0.8389
Te  0.5834  0.4166  0.3389
Te  0.7430  0.0966  0.4106
Te  0.7430  0.4034  0.9106
Te  0.8497  0.6347  0.8563
Te  0.8497  0.8653  0.3563
Te  0.8738  0.1836  0.2292
Te  0.8738  0.3164  0.7292
Te  0.9539  0.5632  0.5907
Te  0.9539  0.9368  0.0907
I  0.3117  0.0795  0.3485
I  0.3117  0.4205  0.8485
I  0.6883  0.5795  0.1515
I  0.6883  0.9205  0.6515

Largest 10 diffraction maxima, by intensity, 2θ = 5–70°:
- 12.39 deg, I 100
- 12.69 deg, I 78
- 30.04 deg, I 69
- 26.82 deg, I 68
- 27.18 deg, I 58
- 30.25 deg, I 55
- 32.24 deg, I 50
- 31.54 deg, I 44
- 35.19 deg, I 35
- 33.53 deg, I 34

=====

# 3
└──

"Well, if they want to come out of their own volition, you won't stop them, right?"



Percy Siston Levantin, the head of the Magic School. She replied with a smile.



"So, you haven't answered yet. What are you doing?"



"There's someone I'm keeping an eye on these days."



Conrad replied as he turned his gaze back to the screen.



Percy's gaze naturally followed to that direction.



"Oh, I know that child. Isn't she the next hero candidate?"



After saying that, Percy's gaze moved to the stage clear record on the side panel.



I guess this is to be expected. The clearing speed of each passing each section is much faster than normal students.



The next Hero candidate is indeed noteworthy…



"No, not her."



┌──
[1]
Simulated X-ray diffraction stick pattern of BaGe4Rh2S6 for Cu Kα, from a GGA-PBE-relaxed structure.

Structure:
```
data_BaGe4Rh2S6
_chemical_formula_sum 'Ba4 Ge16 Rh8 S24'
_cell_length_a 5.9826
_cell_length_b 29.5295
_cell_length_c 6.0441
_cell_angle_alpha 90.00
_cell_angle_beta 90.00
_cell_angle_gamma 90.00
_symmetry_space_group_name_H-M 'P b c a'
_symmetry_Int_Tables_number 61
loop_
_symmetry_equiv_pos_as_xyz
'x,y,z'
'-x,-y,-z'
'-x+1/2,-y,z+1/2'
'x+1/2,y,-z+1/2'
'x+1/2,-y+1/2,-z'
'-x+1/2,y+1/2,z'
'-x,y+1/2,-z+1/2'
'x,-y+1/2,z+1/2'
loop_
_atom_site_label
_atom_site_type_symbol
_atom_site_fract_x
_atom_site_fract_y
_atom_site_fract_z
Ba1 Ba 0.0000 0.0000 0.0000
Ge1 Ge 0.0830 0.1234 0.4184
Ge2 Ge 0.1125 0.1842 0.8795
Rh1 Rh 0.0097 0.7010 0.9971
S1 S 0.0049 0.0512 0.5041
S2 S 0.0098 0.6133 0.4630
S3 S 0.1244 0.7234 0.3803
```

Principal peaks in the range 10° ≤ 2θ ≤ 80°, low angle first:
two_theta	I/Imax
18.0	25
22.8	59
29.6	58
29.9	100
30.3	31
39.7	24
42.5	36
45.3	22
52.6	23
53.0	24

***

[2]
Simulated X-ray diffraction stick pattern of Ba3GeS5 for Cu Kα, from a GGA-PBE-relaxed structure.

Structure:
```
data_Ba3GeS5
_chemical_formula_sum 'Ba12 Ge4 S20'
_cell_length_a 12.2101
_cell_length_b 9.6684
_cell_length_c 8.7425
_cell_angle_alpha 90.00
_cell_angle_beta 90.00
_cell_angle_gamma 90.00
_symmetry_space_group_name_H-M 'P n m a'
_symmetry_Int_Tables_number 62
loop_
_symmetry_equiv_pos_as_xyz
'x,y,z'
'-x,-y,-z'
'-x+1/2,-y,z+1/2'
'x+1/2,y,-z+1/2'
'x+1/2,-y+1/2,-z+1/2'
'-x+1/2,y+1/2,z+1/2'
'-x,y+1/2,-z'
'x,-y+1/2,z'
loop_
_atom_site_label
_atom_site_type_symbol
_atom_site_fract_x
_atom_site_fract_y
_atom_site_fract_z
Ba1 Ba 0.0202 0.2500 0.1120
Ba2 Ba 0.1816 0.0189 0.5774
Ge1 Ge 0.0997 0.7500 0.3064
S1 S 0.0022 0.7500 0.5198
S2 S 0.0568 0.5596 0.1798
S3 S 0.2200 0.2500 0.8500
S4 S 0.2335 0.7500 0.8190
```

Principal peaks in the range 10° ≤ 2θ ≤ 80°, low angle first:
two_theta	I/Imax
22.2	32
23.5	100
24.1	74
28.5	89
30.5	44
31.0	41
31.2	31
35.4	43
37.2	42
42.8	34

***

[3]
Simulated X-ray diffraction stick pattern of Ba2GeS4 for Cu Kα, from a GGA-PBE-relaxed structure.

Structure:
```
data_Ba2GeS4
_chemical_formula_sum 'Ba8 Ge4 S16'
_cell_length_a 9.0949
_cell_length_b 6.9017
_cell_length_c 12.5905
_cell_angle_alpha 90.00
_cell_angle_beta 90.00
_cell_angle_gamma 90.00
_symmetry_space_group_name_H-M 'P n m a'
_symmetry_Int_Tables_number 62
loop_
_symmetry_equiv_pos_as_xyz
'x,y,z'
'-x,-y,-z'
'-x+1/2,-y,z+1/2'
'x+1/2,y,-z+1/2'
'x+1/2,-y+1/2,-z+1/2'
'-x+1/2,y+1/2,z+1/2'
'-x,y+1/2,-z'
'x,-y+1/2,z'
loop_
_atom_site_label
_atom_site_type_symbol
_atom_site_fract_x
_atom_site_fract_y
_atom_site_fract_z
Ba1 Ba 0.0214 0.2500 0.1692
Ba2 Ba 0.1267 0.7500 0.4195
Ge1 Ge 0.2289 0.7500 0.0718
S1 S 0.0130 0.2500 0.9055
S2 S 0.1709 0.5141 0.6406
S3 S 0.1927 0.2500 0.4032
```

Principal peaks in the range 10° ≤ 2θ ≤ 80°, low angle first:
two_theta	I/Imax
21.5	96
23.4	45
24.5	45
24.8	83
25.8	100
28.4	42
30.3	51
33.0	63
33.4	43
35.1	42

***

[4]
└──




Persie tilted her head and looked at the other student.



"Who is this?"



"Dowd Campbell."



"Ah, the con artist?"



Even though she doesn't go outside her lab as often, she still knew the recent rumors and noise around this freshman.



This guy conned a win against the hero candidate during the sparring.



"…But why are you watching a scammer?"



"Looks like he knows that too."



Conrad replied with a snort.



"This guy's talent is real."






Persie furrowed her eyebrows and stared at the screen.



Talent... What talent?



No matter how she looked at it, it just looks like he's getting a free ride from the hero candidate.



"This is why Mages who only roll around with pens are no good."



"Why are you picking a fight now?"



"This feat, this record can never be set just by the hero candidate alone. Rather, the main body is over there."






Percy asked with her head tilted, but Conrad simply turned his gaze back to the screen instead of explaining in detail.

It's even clearer to see from a distance.



Just the sheer absurdity of what this man is doing right now.






In fact, there are some occasional events where freshmen get good records.



But, in the end, most just end up as a fluke. It's really not a display of true skill.


In that sense.



How is this man just blazing through this?



'He's calculating everything.'



It's as if he knew the location of the monsters relative to the hero candidate, and then send out instructions at somehow the right timing.



Each of his subsequent moves made it seem like he was seeing through the enemy's pattern.



Every judgment he makes at every instance is a near-perfect answer.



He may look like he was just standing and ordering around, but he was actually playing a complex and elaborately arranged artificial dungeon as if it were placed in the palm of his hand.



I can assure you on this.



This 'freshman' is the sole person among Elfante's history of students breaking through the dungeon in such a way.



It's almost like…



'He's fought on the battlefield thousands of times.'



This is the only explanation.



Because it just doesn't make sense to have this kind of ability without any practical experience.



And 'surviving combat' and living to develop this ability suggests that this guy is hiding something more than just what's on the surface.






This is why I'm curious.



If he 'directly' participated in the dungeon raid with the hero candidate, what would the result be?



If one person is already doing this much, what would happen if he participated himself?



"No, I just can't bring myself to believe. I don't understand no matter how I look at it."



Speaking of, this s†upid mage beside me had been annoying for a while now.



"Then do you want to bet on it?"



"A bet?"



"Do you remember the record you and I set in the mock battle during our freshman year?"



"I do, what about it?"



Conrad and Percy were a freshman duo that's said to be the most legendary team up of all time.



The record they set in the mock battle still remains as the undisputed number one of all time.



"I bet he'll break it."



Percy's eyes widened.



"…You're that confident?"



"Of course."



"Fine. It has already come to this point. I will take upon your invitation and bet on him not breaking the record."






Immediately after saying that, he picked up the microphone attached to the control panel.



"This is Conrad Baltador, the Dean of the Knight's Faculty. Can you hear me?"



{T/L: Changing School to Faculty}



His voice probably reverberated throughout the dungeon like an announcement.



It can be seen from how Elijah was looking at the ceiling in amazement.






Meanwhile, Conrad was smiling at Dowd, who did not seem fazed then said.



"I'm intrigued by how things are going. Can I take you up for an offer?"



"Do tell."



Even, his attitude was as if he's been waiting for this.



"Currently, the Magic Faculty Dean Percy and I are engaged in a bet outside."



"A bet?"



"It's on whether you can break the record we set as a freshman or not. If you succeed… Percy will give you the right to ask for anything."



On the other side, Percy raised her eyebrows slightly with an expression asking what he was doing, but she didn't say much.



Anyways, she was certain that their record would remain unbroken.



"You don't need to feel burdened by it. The record you set now is great, regardless."



"Ah, that's fine."



And so.



"This is enough of a motivator."



Hearing Dowd Campbell's answer, the expression on Percy's face was truly worth seeing.








As soon as Beatrix entered the dedicated fitness room of the student council, she was greeted by a sweltering heat.



**Here the page breaks off for records of crystals:**
<<<
# 1
Structure and calculated powder XRD pattern of KNa4Cu3Cl12 (a cell relaxed with PBE; Cu Kα, 1.54184 Å).
Kinematic intensities with the Lorentz-polarization factor, no thermal factor.

Atomic structure:
Cell: 9.989 9.989 9.989 Å, 90.00 90.00 90.00°
Space group Im-3 (No. 204)
Inequivalent atoms, fractional coordinates:
K  0.000  0.000  0.000 [2 per cell]
Na  0.250  0.250  0.250 [8 per cell]
Cu  0.000  0.000  0.500 [6 per cell]
Cl  0.000  0.336  0.157 [24 per cell]

Principal peaks in the range 10° ≤ 2θ ≤ 80°, by angle:
| index | 2θ (°) | d_spacing | I/Imax |
| --- | --- | --- | --- |
| 1 1 0 | 12.5 | 7.063 | 26 |
| 2 0 0 | 17.8 | 4.994 | 42 |
| 2 2 0 | 25.2 | 3.531 | 74 |
| 3 0 1 | 28.3 | 3.159 | 94 |
| 2 2 2 | 31.0 | 2.883 | 25 |
| 3 1 2 | 33.6 | 2.670 | 26 |
| 4 0 0 | 36.0 | 2.497 | 23 |
| 4 2 2 | 44.4 | 2.039 | 100 |
| 6 0 0 | 55.2 | 1.665 | 38 |
| 6 0 2 | 58.4 | 1.579 | 27 |



# 2
Structure and calculated powder XRD pattern of KNaCuCl3 (a cell relaxed with PBE; Cu Kα, 1.54184 Å).
Kinematic intensities with the Lorentz-polarization factor, no thermal factor.

Atomic structure:
Cell: 4.049 13.651 10.774 Å, 90.00 90.00 90.00°
Space group Cmcm (No. 63)
Inequivalent atoms, fractional coordinates:
K  0.000  0.247  0.250 [4 per cell]
Na  0.000  0.500  0.000 [4 per cell]
Cu  0.000  0.035  0.750 [4 per cell]
Cl  0.000  0.131  0.574 [8 per cell]
Cl  0.000  0.437  0.750 [4 per cell]

Principal peaks in the range 10° ≤ 2θ ≤ 80°, by angle:
| index | 2θ (°) | d_spacing | I/Imax |
| --- | --- | --- | --- |
| 0 2 0 | 13.0 | 6.826 | 45 |
| 0 0 2 | 16.5 | 5.387 | 38 |
| 1 1 0 | 22.9 | 3.882 | 20 |
| 1 3 1 | 30.7 | 2.912 | 100 |
| 0 4 2 | 31.0 | 2.883 | 28 |
| 0 0 4 | 33.3 | 2.693 | 24 |
| 1 3 2 | 34.0 | 2.637 | 54 |
| 2 0 0 | 44.8 | 2.025 | 25 |
| 1 5 3 | 47.5 | 1.915 | 18 |
| 1 3 5 | 52.1 | 1.755 | 25 |



# 3
Structure and calculated powder XRD pattern of KNaCu2Cl5 (a cell relaxed with PBE; Cu Kα, 1.54184 Å).
Kinematic intensities with the Lorentz-polarization factor, no thermal factor.

Atomic structure:
Cell: 4.688 4.688 9.454 Å, 90.00 90.00 90.00°
Space group P4/mmm (No. 123)
Inequivalent atoms, fractional coordinates:
K  0.000  0.000  0.000 [1 per cell]
Na  0.000  0.000  0.500 [1 per cell]
Cu  0.500  0.500  0.264 [2 per cell]
Cl  0.000  0.500  0.305 [4 per cell]
Cl  0.500  0.500  0.000 [1 per cell]

Principal peaks in the range 10° ≤ 2θ ≤ 80°, by angle:
| index | 2θ (°) | d_spacing | I/Imax |
| --- | --- | --- | --- |
| 0 0 2 | 18.8 | 4.727 | 48 |
| 1 0 0 | 18.9 | 4.688 | 51 |
| 1 0 2 | 26.8 | 3.328 | 100 |
| 0 0 3 | 28.3 | 3.151 | 37 |
| 2 0 0 | 38.4 | 2.344 | 98 |
| 2 0 2 | 43.1 | 2.099 | 32 |
| 1 1 4 | 47.2 | 1.924 | 30 |
| 2 1 2 | 47.4 | 1.916 | 40 |
| 2 0 4 | 55.2 | 1.664 | 28 |
| 2 2 0 | 55.4 | 1.657 | 30 |

=====

For Na3LiCuPCO7, DFT lattice parameters and positions (GGA-PBE) gives the computed XRD peak list in this record (CuKα).
Kinematic intensities with the Lorentz-polarization factor, no thermal factor.
>>>

Elnore stretched out in the middle of the floor, covered in sweat, also added to the scene.



"What is all this?"



She sighed helplessly and tossed a water bottle to Elnore.



"I needed to sort out my thoughts."



"Right, I know you come here alone to sweat whenever you're like that. So what's the problem this time?"



"It has always been like this. But it's ramped up these days."



Upon hearing that, Beatrix's expression immediately turned solemn.



A dark rumor has been circulating in imperial circle.



That the devil runs on Duke Tristan's veins.



This sentence could mean two things.



One is literally being connected to the devil, pledging with evil to achieve outstanding feats.



The second is a metaphorical expression of 'madness', which is present in the Duke's bloodline.



It's an expression of extreme violence and the loss of reason that occurs in bursts from time to time.



As time passes, the Tristan Family were notorious for their miserable later years, which overshadows their achievements.



Elnore is also not free from such a curse.



Rather, in her case, it's particularly extreme.



She alone knew of aspects of Elnore that could never be revealed to the public.



"…Is it very serious?"



"It's nothing to worry about. It's not entirely because of that."



Elnore smiled and wiped her sweat off with a towel.



"There was something I wanted to remember."



"What do you want to remember?"



"It's a move I learned from my mother when I was little, when I just started learning the sword… But I can't quite recall it. That's why I was checking my swordsmanship right from the beginning."



For a woman who normally doesn't show even the slightest emotion, Elnore is being really sentimental right now. But instead of pointing it out, Beatrix encouraged her.



Elnore's feelings for her father and mother are on the polar opposites.



Her mother died when she was young, so you can understand why she's like that.



"Well, don't push yourself too hard."



"It's fine. If I exhaust myself, I won't care about most things."



"Really? Well, I have something to tell you."



Elnore's gaze turned to Beatrix.



"…Tell me about what?"



"I'm saying this because you asked me to let you know of all the information about it. A junior told me this earlier."



"So, what is it?"



"Dowd Campbell is with the next hero candidate in a mock battle. People say they're in a bet with the Deans-"



Sparks flew from Elnore's eyes.



"So, you're saying that the two of them are stuck together?"






Well, I guess this is more important than being in a bet with the Deans.



"The mock battle is a two-person challenge, so the two of them need to stick together, no?"



Elnore sprang up immediately, her sweat splattering everywhere, but she didn't seem to care.



"Didn't you just say you're too exhausted to care about most things?"



"Shut it, and tell me where it is."



This crazy woman.



Beatrix had already been overworked as of recently, and now her temples began to throb with a headache again.

You can read 255 chapters for $20. p.atreon.com/casca02